**Entries**
........
ORCA calculation (ωB97M-V/def2-TZVPD) on a molecular structure, C41H55ClN3O5P2Tc.

Values from the calculation:
- HOMO (spin up / spin down) (eV) = -8.9715 / -10.3950
- gap between HOMO and LUMO (spin up / spin down) (Eh) = 0.1739 / 0.2403
- energy above the lowest of the compared OMol25 structures with the same formula, charge and spin (eV) = 0.0000

ORCA input file:
```
! RIJCOSX wB97M-V def2-TZVPD def2/J DEFGRID3
* xyz 1 2
C -0.526 0.617 -5.038
C -1.122 -2.748 1.170
H 3.677 1.676 2.957
C -0.894 -1.757 -2.415
C -3.244 1.780 -1.257
C 2.744 2.111 2.645
H -1.369 3.935 -1.125
N -0.169 1.239 0.631
H 3.810 -1.405 4.666
C -5.573 2.429 -0.601
C 1.826 1.348 1.941
C 0.438 3.322 1.720
P 2.033 -0.395 1.448
C -2.159 -3.447 3.323
H 3.338 5.281 3.685
H -1.518 -2.641 -2.499
H 3.044 0.395 -3.293
C -4.154 -2.215 1.555
C 1.341 4.041 2.469
C 2.507 3.449 2.947
C -4.147 2.138 -0.261
C 2.428 -0.478 -3.455
H -2.823 2.303 -5.026
H -3.374 -3.630 0.144
H -0.324 -0.449 -4.993
H -6.117 1.513 -0.829
C 3.609 -0.416 0.450
H -2.226 0.396 -3.742
H -4.263 -2.071 2.627
C -3.462 -3.532 1.228
C -3.696 2.240 1.053
H -2.414 3.016 -3.468
H 3.520 -2.574 0.214
C -1.450 -1.114 2.886
H -4.070 -4.357 1.603
Tc 0.055 -0.665 0.120
H 4.573 0.755 -1.079
H 1.153 5.082 2.681
H 2.968 0.105 4.359
H -5.637 3.074 -1.474
C 3.595 -1.682 -0.404
H -1.769 -5.441 0.544
H 1.741 2.273 -3.579
H 0.510 -4.993 1.337
C 0.868 -2.770 -3.843
H 0.824 -2.688 2.996
C 2.591 -1.444 2.903
C 2.893 -1.512 -4.257
C -2.015 2.465 -4.314
C -1.913 1.561 -0.949
H -1.041 0.804 -5.979
H 3.872 1.716 0.222
C -2.380 1.993 1.378
C -1.471 1.634 0.379
H -0.960 4.594 -2.708
C 3.499 -0.715 3.885
H 4.456 -0.465 1.143
O -1.337 -0.763 -1.687
C -2.037 -3.733 1.832
C -1.420 1.117 -3.904
C 0.304 2.936 -2.079
H 4.507 3.965 3.508
H -0.011 -6.573 1.927
H -2.140 -1.887 4.647
C 0.364 -1.723 -3.033
C -1.627 -5.198 1.598
H 3.153 -2.256 2.426
H 3.861 -1.444 -4.718
N -1.969 -2.128 3.676
C 2.096 -2.642 -4.448
H 0.066 4.933 -1.323
H 2.745 -1.676 -1.085
H 0.421 1.149 -5.065
H -1.257 3.075 -4.799
C 1.189 -0.577 -2.863
H -3.600 1.676 -2.270
O -1.329 0.016 3.298
N -1.014 -1.505 1.654
H 2.822 0.980 -0.988
H -4.390 2.509 1.836
H -2.046 2.027 2.403
P -0.629 1.302 -2.228
H -0.435 3.814 1.319
O -0.456 -2.935 0.136
H 4.398 -0.342 3.402
H 0.910 2.737 -1.181
O 0.764 0.453 -2.001
H 3.353 3.944 4.834
H 2.068 3.861 -2.902
C 3.483 4.209 3.785
H -3.621 -1.359 1.141
C 3.726 0.839 -0.402
H -5.153 -2.235 1.126
H 4.505 -1.753 -0.997
H 1.801 -2.695 4.460
H 0.282 -3.666 -3.973
H -2.301 -5.818 2.190
H -6.073 2.919 0.229
H -0.003 -5.199 3.026
C -0.189 -5.503 1.998
C 1.424 -2.066 3.656
O -2.471 -4.271 4.138
H 0.775 3.670 -4.071
C 0.648 1.961 1.451
C -0.547 4.169 -1.797
Cl 2.684 -3.901 -5.467
C 1.274 3.193 -3.231
H 0.806 -1.288 4.096
*
```


(1)
{
  "formula": "C17H31N4O3OsPS2",
  "method": "wB97M-V/def2-TZVPD",
  "e_above_lowest_kcal_mol": 12.48,
  "lumo_ev": [-3.28, -3.98],
  "spin_multiplicity": 2,
  "e_homo_ev": [-11.29, -11.08],
  "total_energy_ha": -2339.40283,
  "total_charge": 1,
  "homo_lumo_gap_ha": [0.2942, 0.2610],
  "species": ["Os", "S", "S", "P", "O", "O", "O", "N", "N", "N", "N", "C", "C", "C", "C", "C", "C", "C", "C", "C", "C", "C", "C", "C", "C", "C", "C", "C", "H", "H", "H", "H", "H", "H", "H", "H", "H", "H", "H", "H", "H", "H", "H", "H", "H", "H", "H", "H", "H", "H", "H", "H", "H", "H", "H", "H", "H", "H", "H"],
........
**Activity**
Count the lines further up that contain the word "Os" and give the number alone.
**Written answer**
1